I had a great time on Friday night at BBC 21CC in Salford at Teachmeet NW. I presented briefly on Google Forms as per my previous blog post and listened to a wide variety of great presentations. I’ve collected all the links and chats from the evening together on the wiki. And, although it went against the ‘talk only on what you’ve done in the classroom’ Teachmeet rule, I did a very brief demo of Google Wave. Let’s be honest, I knew the ever-so-slightly geeky audience would like to see it!
But this got me round to thinking, how do we expand Teachmeets beyond the geeks? Almost every person in that room on Friday was on Twitter, had a blog etc etc.. I emailed all staff at my school on Monday about Teachmeet, a few took the proverbial out of me, a few said it sounded great, ‘but on a Friday night?’, in the end – nobody came.
If you’ve never attended a Teachmeet before, here’s a little Tim & Moby video that explains the concept:
Materials data, kept here for reference =
/*
# 1
Below is an optimized crystal structure of Ca2Fe2Si3O12, with properties calculated at the PBE+U level.

Cell: 10.548 10.548 10.548 Å, 109.40 109.40 109.61°
Element x y z (fractional)
Ca: 0.375 0.746 0.871
Ca: 0.875 0.504 0.129
Ca: 0.754 0.125 0.129
Ca: 0.254 0.125 0.629
Ca: 0.496 0.625 0.371
Ca: 0.375 0.246 0.371
Ca: 0.875 0.004 0.629
Ca: 0.996 0.625 0.871
Fe: 0.125 0.375 0.750
Fe: 0.625 0.375 0.750
Fe: 0.125 0.375 0.250
Fe: 0.625 0.375 0.250
Fe: 0.625 0.875 0.750
Fe: 0.125 0.875 0.250
Fe: 0.125 0.875 0.750
Fe: 0.625 0.875 0.250
Si: 0.247 0.625 0.122
Si: 0.003 0.125 0.378
Si: 0.250 0.750 0.500
Si: 0.375 0.997 0.122
Si: 0.500 0.500 0.000
Si: 0.875 0.253 0.878
Si: 0.503 0.125 0.878
Si: 0.875 0.753 0.378
Si: 0.375 0.497 0.622
Si: 0.750 0.250 0.500
Si: 0.000 0.000 0.000
Si: 0.747 0.625 0.622
O: 0.931 0.682 0.669
O: 0.828 0.386 0.869
O: 0.632 0.488 0.953
O: 0.737 0.568 0.748
O: 0.209 0.578 0.942
O: 0.517 0.959 0.131
O: 0.541 0.983 0.869
O: 0.118 0.571 0.355
O: 0.636 0.267 0.058
O: 0.511 0.681 0.748
O: 0.738 0.284 0.355
O: 0.929 0.382 0.645
O: 0.818 0.569 0.331
O: 0.821 0.966 0.953
O: 0.239 0.487 0.669
O: 0.012 0.868 0.047
O: 0.932 0.763 0.252
O: 0.013 0.261 0.331
O: 0.819 0.989 0.252
O: 0.614 0.483 0.442
O: 0.922 0.291 0.058
O: 0.216 0.762 0.645
O: 0.534 0.679 0.047
O: 0.114 0.672 0.131
O: 0.319 0.068 0.831
O: 0.422 0.364 0.631
O: 0.618 0.262 0.547
O: 0.513 0.182 0.752
O: 0.041 0.172 0.558
O: 0.733 0.791 0.369
O: 0.709 0.767 0.631
O: 0.132 0.179 0.145
O: 0.136 0.078 0.369
O: 0.716 0.071 0.453
O: 0.034 0.988 0.855
O: 0.017 0.886 0.558
O: 0.328 0.459 0.442
O: 0.431 0.761 0.248
O: 0.237 0.489 0.169
O: 0.318 0.987 0.248
O: 0.238 0.882 0.453
O: 0.011 0.263 0.831
O: 0.429 0.784 0.547
O: 0.432 0.181 0.169
O: 0.321 0.368 0.855
O: 0.512 0.466 0.145
O: 0.739 0.069 0.752
O: 0.233 0.864 0.942

The total magnetization is 32.00 μB/cell. The calculation puts the electronic total energy at -7.09 eV per atom.

---

# 2
Below is an optimized crystal structure of LiFe4B4O12, with properties calculated at the PBE+U level.

Cell: 5.248 9.132 11.491 Å, 112.99 102.53 90.87°
Element x y z (fractional)
Li: 0.003 0.346 0.333
Li: 0.237 0.593 0.839
Fe: 0.975 0.973 0.622
Fe: 0.737 0.053 0.118
Fe: 0.531 0.537 0.374
Fe: 0.764 0.432 0.874
Fe: 0.236 0.561 0.129
Fe: 0.487 0.467 0.615
Fe: 0.011 0.015 0.367
Fe: 0.266 0.947 0.876
B: 0.980 0.306 0.625
B: 0.732 0.722 0.121
B: 0.515 0.187 0.374
B: 0.763 0.761 0.868
B: 0.473 0.813 0.630
B: 0.238 0.233 0.123
B: 0.034 0.687 0.375
B: 0.263 0.269 0.869
O: 0.005 0.226 0.153
O: 0.867 0.874 0.180
O: 0.869 0.591 0.065
O: 0.905 0.561 0.381
O: 0.965 0.843 0.430
O: 0.759 0.174 0.341
O: 0.751 0.340 0.670
O: 0.472 0.699 0.109
O: 0.380 0.382 0.160
O: 0.524 0.654 0.581
O: 0.634 0.929 0.630
O: 0.351 0.095 0.060
O: 0.628 0.893 0.913
O: 0.357 0.062 0.360
O: 0.433 0.344 0.422
O: 0.619 0.609 0.826
O: 0.521 0.281 0.871
O: 0.245 0.666 0.317
O: 0.246 0.849 0.678
O: 0.030 0.148 0.568
O: 0.155 0.431 0.647
O: 0.139 0.410 0.911
O: 0.116 0.121 0.825
*/
So much for the materials data =
The video itself mentions that each Teachmeet presentation tends to focus on the use of technology, and this is inevitable, based on the interests of those who first set up TMs and those who heard about them and took on the mantle themselves.
I think future TMs should look to lose the technology focus a little. I’d be just as interested to hear a teacher tell me of a great place they took a class to on a trip, a novel way of teaching Maths outdoors, or an interesting use of collaborative learning structures. It’s the format of TMs that is the winner, real staff talking about real pedagogy that worked with real classes.
Friday night is an issue for many staff after a long week, I know it helps those who travel larger distances but perhaps a Thursday would be better. I think that Thursdays, combined with an effort to promote events outside of Twitter would possibly mean you could get a more diverse, although probably more local group to meet.
I think that it’s also a format that should be promoted in school, I’ve sat through many a dreary hour of CPD in schools that would have been far more valuable had it been 15 micro-presentations from my own colleagues. You could doa whole/hald day where every member of staff is asked to bring a 2 minute presentation, and the fruit machine picked out enough at random to fill the time.
What are your thoughts? Don’t get me wrong, I love TMs, I just feel it’s something that needs sharing to a wider audience.
PS: I’m WAY to busy for this to be me volunteering to organise the next Manchester event, I’m just throwing these thoughts out there 😉
Couldn’t agree more about expanding upon its current ICT focus – although the fruit machine name picker HAS to stay! 😉 #tmnw
Can someone post the link to the fruit machine name picker please? Must use it in class!
Hi Dan, you are absolutely right. Friday night was a bad choice-only the dedicated Teachmeeters would go already knowing that they’d enjoy it. It still has a place in that it was great to meet some Twits I’ve not met prior to friday (@icpjones, @spanishsam, @simaonhaughton, @tomsale) but it’s really got to move beyond a cool linkswap session.
If that sounds a bit negative, it was a great evening and some great learning ideas were showcased, yet as many have already stated, we were just preaching to the converted.
How about next time making it “mandatory” to bring a friend?
Hi, I had planned to come but what put me off was travelling from Holmfirth through busy Friday traffic on the motorways after a long week. I’ve done enough journeys in my life where I had no choice but to do just that and so that’s why I didn’t come. For me I’d come if it was more local to me. Sound’s like I missed a great evening though! I agree also about opening it up to the ‘anything that works/has worked well’ idea.
I agree about it being a great night and also enjoyed meeting some of my Twitter friends IRL for the first time.
I think the ‘bring a friend’ idea is a good one. I brought two teachers with me who are not on Twitter and brand new to Teachmeet and they were incredibly positive about the whole experience and in the car on the way back we were buzzing about the preceding proceedings.
One thing we really agreed on was the success of the format and we resolved to try to develop more opportunities for TM style CPD events, whether they are at LA, pyramid, cluster or individual school level. So Nicola, watch this space. There may be a TM near you before too long.
Hi Dan, I have to agree with you on this; even though I have not attended a Teachmeet in person I always get the impression that most of the attendees are advocates of the use of and further use of technology in the classroom. There are many teachers who might not go willingly due to the event held traditionally on a Friday but also because the event is aimed at the use of technology in the classroom, they would not be keen to be seen sitting alone or huddled in groups in a room of devotees.
VASP calculation (PBE+U) on crystalline Sr3CaCr2S2O5 at its relaxed geometry.

- DFT total energy: -83.87 eV per formula unit
- Density: 4.08 Mg/m³

Cell lengths 14.4074, 14.4074, 14.4074 Å; angles 164.11, 164.11, 22.55 degrees
Fractional coordinates of all 13 atoms:
S 0.8159 0.8159 0.0000
Sr 0.3694 0.3694 0.0000
Sr 0.5000 0.5000 0.0000
Ca 0.7500 0.2500 0.5000
S 0.1841 0.1841 0.0000
O 0.9242 0.4242 0.5000
Sr 0.6306 0.6306 0.0000
O 0.4244 0.9244 0.5000
Cr 0.0676 0.0676 0.0000
O 0.0000 0.0000 0.0000
O 0.0756 0.5756 0.5000
Cr 0.9324 0.9324 0.0000
O 0.5758 0.0758 0.5000


VASP calculation (PBE+U) on crystalline Ba2V2CuClO7 at its relaxed geometry.

- DFT total energy: -86.65 eV per formula unit
- Density: 4.27 Mg/m³

Cell lengths 9.1007, 9.1007, 5.5118 Å; angles 90.00, 90.00, 90.00 degrees
Fractional coordinates of all 26 atoms:
Ba 0.8226 0.3226 0.3855
O 0.5000 0.0000 0.0703
Ba 0.1774 0.6774 0.3855
V 0.1304 0.3696 0.9276
Cu 0.0000 0.0000 0.9918
Cu 0.5000 0.5000 0.9918
O 0.2014 0.9113 0.0483
O 0.9113 0.7986 0.0483
Cl 0.0000 0.0000 0.5344
O 0.7014 0.5887 0.0483
O 0.0887 0.2014 0.0483
O 0.2986 0.4113 0.0483
V 0.8696 0.6304 0.9276
O 0.4113 0.7014 0.0483
O 0.7986 0.0887 0.0483
O 0.6255 0.1255 0.6116
O 0.3745 0.8745 0.6116
V 0.6304 0.1304 0.9276
Cl 0.5000 0.5000 0.5344
V 0.3696 0.8696 0.9276
O 0.0000 0.5000 0.0703
O 0.1255 0.3745 0.6116
O 0.5887 0.2986 0.0483
Ba 0.6774 0.8226 0.3855
Ba 0.3226 0.1774 0.3855
O 0.8745 0.6255 0.6116


VASP calculation (PBE+U) on crystalline LiVF4 at its relaxed geometry.

- Energy above the lowest structure with this stoichiometry: 24 meV/atom
- DFT total energy: -34.27 eV per formula unit
- Density: 2.85 Mg/m³

Cell lengths 5.2919, 5.5353, 5.9281 Å; angles 63.78, 90.00, 90.00 degrees
Fractional coordinates of all 12 atoms:
F 0.7955 0.9071 0.5937
V 0.4996 0.7449 0.5043
F 0.2955 0.0929 0.4063
F 0.4185 0.5844 0.8529
Li 0.3218 0.2145 0.0259
F 0.5880 0.9165 0.1487
Li 0.8218 0.7855 0.9741
F 0.1979 0.5893 0.4337
F 0.9185 0.4156 0.1471
F 0.6979 0.4107 0.5663
V 0.9996 0.2551 0.4957
F 0.0880 0.0835 0.8513


VASP calculation (PBE+U) on crystalline Sr4Cr3O10 at its relaxed geometry.

- DFT total energy: -117.23 eV per formula unit
- Density: 5.20 Mg/m³

Cell lengths 14.4574, 14.4574, 14.4574 Å; angles 164.61, 164.61, 21.83 degrees
Fractional coordinates of all 17 atoms:
Sr 0.5673 0.5673 0.0000
Sr 0.7025 0.7025 0.0000
O 0.5000 0.0000 0.5000
Sr 0.4327 0.4327 0.0000
O 0.2087 0.2087 0.0000
O 0.9339 0.9339 0.0000
Cr 0.8607 0.8607 0.0000
O 0.3638 0.8638 0.5000
Cr 0.0000 0.0000 0.0000
O 0.6362 0.1362 0.5000
Sr 0.2975 0.2975 0.0000
O 0.1362 0.6362 0.5000
Cr 0.1393 0.1393 0.0000
O 0.0000 0.5000 0.5000
O 0.0661 0.0661 0.0000
O 0.7913 0.7913 0.0000
O 0.8638 0.3638 0.5000


VASP calculation (PBE+U) on crystalline LiVPO5 at its relaxed geometry.

- Energy above the lowest structure with this stoichiometry: 84 meV/atom
- DFT total energy: -56.67 eV per formula unit
- Density: 2.52 Mg/m³
When I held my own Teachmeet in Gran Canaria the response was twofold – lots of interest for the event but minimal turn up for the night. There are many other avenues open for Teachmeets and the one factor that makes a it worthwhile is the speed of informative and illuminating presentations. As you have pointed out, many a CPD meeting would be better spent learning from your colleagues than sitting for one hour listening to one speaker.
A possible format for future TeachMeets could be drawn up along the lines you have suggested and I’m quite certain more teachers would be willing to attend.
I agree about the idea of widening the focus, I think it’s the format rather than the tech focus which is important.
Personally I’m not sure that Thursday would be better than Friday – lots of teachers will have after school meetings/clubs/events on nights other than Friday, plus I know I wouldn’t have even contemplated driving from Sheffield to Manchester and back if I had to get up for school the next day!
Mind you, that was the first time I’ve managed to attend a Teachmeet at all, Fridays seem to be fairly full of other commitments too. Really enjoyed it though, sure it won’t be my last.
Thanks for all the replies. Perhaps the day is not the answer, perhaps Dughall is on to something with it being organised at LA or cluster level.
Is there a space for TM style events run as ‘official’ CPD events, maybe starting a bit earlier in the afternoon? What if it was a Friday 2/3pm start? Cover would be needed for some for an hour or so. But the school could be reasonably confident they are sending staff on free high quality CPD event.
.-= MrStucke´s last blog ..TeachMeet North West – Expanding the Audience =-.
About 3 years ago I organised a free ICT conference on a Saturday. I’d not come across the unconference idea at that time so I had a couple of keynotes and some breakouts. I was amazed to get almost 50 teachers along. It was held in a school so overheads were minimal. S maybe trying one on a Saturday might be worth a go. There’s always a reason why one night rather than another might be wrong, but the traffic on Fridays in Manchester is always particularly bad.
I think Dughall’s LA idea also has legs provided the usual LA tendency to “control” doesn’t take over – not that Dughall would be party to that. @skinnyboyevans has successfully run a couple on these lines in N London.
Hi Dan – I enjoyed your post and your reflections about the NW event.
I do think that Friday night is a good night for staff, as Lois says, getting up for school the next day may often deter people from fully relaxing and enjoying themselves. Whichever night is chosen some people will not be able to attend – in my opinion Friday is best so people can go on to a TeachEat. This has often been a great extension of the night as conversations continue.
When I was at the SLF this year I caught up with Ewan McIntosh who, as you know is the founder of the original idea. We talked about TeachMeets this year and he reiterated how they were never meant to have a solely tech focus. They were always meant to be about sharing good examples of teaching and learning. I agree that the emphasis needs to return to this more clearly.
I also agree that I would love to listen a 2 minute nano from a teacher talking about a great display they did in their classroom. We need to see more of that in future Teachmeets as it will encourage new people to talk about successes they have experienced outside technology.
Often the current topics on the wiki for talks may deter people – as you may look down a speaker/topic list at a normal conference – exploring the wiki is the same thing. Hard to influence what people put down – but as I have already said I hope that other examples are shared in future events.
I would recommend anyone setting up a TM to try and raise early sponsorship to use on emailing schools across a region. To get the message into staff rooms – to get the message outside of the echo chamber beyond the well trodden paths of communication we all use.
Another important part of the event is that it is voluntary – would you get the same type of atmosphere if people were told they were having a TM? Just a thought.
Thanks again for your reflections.
Take your point about Friday nights, Tom. Last Friday was a particularly grim one, traffic wise around Manchester.
Fruit Picker http://classtools.net
There are lots of good points made here. I wondered whether TMSuKe should have been on a Friday night or not, but each day is going to have pros and cons attached to it.
I am in the process of organising a TeachMeetMacro at school for our January Inset – the same TM concept, but just the staff at school. Voluntary attendance and free nibbles should hopefully be a good incentive!
On reflection I think Fridays are probably right. If it means you only get the really keen staff then that’s no bad thing.
As Tom said, getting the message out of the echo chamber is the key point. It shouldn’t take much funding to do so in the age of emails and websites. A PDF poster emailed to school CPD coordinators to put up in the staff room only costs the time involved in making it.
I’m going to encourage the idea of an internal Teachmeet at my school later this year.
Thanks again to everyone for the great discussion 🙂
Another difficulty that occurred to me is the freeness of it. Because it is free to attend, there is possibly an inherent suspicion that it is either (a) well-meaning but rubbish [“or they’d charge”], or (b) some form of secretive sales pitch.
That being said, I think that the vast, VAST majority of people who have attended a TeachMeet would happily sing the praises of a hyper-productive evening. To that end, I think it’s as important to sell the concept as much as the event itself. As my friend Alan says all the time, it’s about selling the benefits rather than the features!
I’m not suggesting for one moment that we charge for TeachMeets, more that we align ourselves as a benefit-filled opportunity for those attending, to avoid being misinterpreted, which is very possible.